(What to do)
Set down everything further down verbatim.

(Given)
<<<
Entry 1:
First-principles (GGA-PBE) data for a relaxed structure of Ca2Sn3Hg6, as listed in Alexandria via LeMat-Bulk.

Summary:
For the final energy, the calculation gives -1.76 eV per atom.

a b c (Å): 4.5837 4.5837 30.0444
angles (deg): 90.00 90.00 90.00
With the nearest neighbours (Å) after each atom.
Space group I4/mmm (No. 139)
Asymmetric unit:
Ca 0.0000 0.0000 0.1554 (multiplicity 4)  5 Hg 3.16-3.43, 4 Sn 3.27
Sn 0.0000 0.0000 0.3602 (multiplicity 4)  5 Hg 3.00-3.10, 4 Ca 3.27
Sn 0.0000 0.0000 0.5000 (multiplicity 2)  8 Hg 3.12
Hg 0.0000 0.0000 0.2604 (multiplicity 4)  1 Sn 3.00, 1 Ca 3.16, 4 Hg 3.30
Hg 0.0000 0.5000 0.0703 (multiplicity 8)  4 Sn 3.10-3.12, 4 Hg 3.24, 2 Ca 3.43

---

Entry 2:
First-principles (GGA-PBE) data for a relaxed structure of CaSnHg, as listed in Alexandria via LeMat-Bulk.

Summary:
For the final energy, the calculation gives -2.56 eV per atom.

a b c (Å): 6.6137 4.9279 10.0334
angles (deg): 90.00 90.00 90.00
With the nearest neighbours (Å) after each atom.
Space group Pnma (No. 62)
Asymmetric unit:
Ca 0.1328 0.2500 0.1143 (multiplicity 4)  5 Hg 3.26-3.34, 5 Sn 3.32-3.42
Sn 0.1247 0.2500 0.4500 (multiplicity 4)  2 Sn 3.13, 5 Ca 3.32-3.42, 3 Hg 3.33-3.34
Hg 0.1480 0.2500 0.7820 (multiplicity 4)  5 Ca 3.26-3.34, 3 Sn 3.33-3.34, 2 Hg 3.37

---

Entry 3:
First-principles (GGA-PBE) data for a relaxed structure of CaSnHg, as listed in Alexandria via LeMat-Bulk.

Summary:
For the final energy, the calculation gives -2.53 eV per atom.

a b c (Å): 3.5565 5.8908 8.1314
angles (deg): 73.41 89.97 89.65
With the nearest neighbours (Å) after each atom.
Space group P-1 (No. 2)
Asymmetric unit:
Ca 0.0015 0.1067 0.1942 (multiplicity 2)  4 Hg 3.27-3.36, 6 Sn 3.35-3.48, 2 Ca 3.56
Sn 0.4977 0.3810 0.8443 (multiplicity 2)  2 Hg 3.02-3.12, 1 Sn 3.23, 2 Ca 3.35-3.36
Hg 0.4906 0.2476 0.4992 (multiplicity 2)  2 Hg 2.91-2.98, 2 Sn 3.02-3.12

---

Entry 4:
First-principles (GGA-PBE) data for a relaxed structure of CaSn2Hg, as listed in Alexandria via LeMat-Bulk.

Summary:
For the final energy, the calculation gives -2.95 eV per atom.

a b c (Å): 4.7285 4.7285 4.6690
angles (deg): 90.00 90.00 90.00
With the nearest neighbours (Å) after each atom.
Space group P4/mmm (No. 123)
Asymmetric unit:
Ca 0.0000 0.0000 0.0000 (multiplicity 1)  8 Sn 3.32, 4 Hg 3.34
Sn 0.0000 0.5000 0.5000 (multiplicity 2)  4 Hg 3.32, 4 Ca 3.32, 4 Sn 3.34
Hg 0.5000 0.5000 0.0000 (multiplicity 1)  8 Sn 3.32, 4 Ca 3.34

---

Entry 5:
First-principles (GGA-PBE) data for a relaxed structure of CaSn2Hg4, as listed in Alexandria via LeMat-Bulk.

Summary:
The value obtained for the energy above the lowest structure with this stoichiometry is 0.193 eV/f.u.

a b c (Å): 9.0993 5.2554 8.9754
angles (deg): 90.00 90.05 90.00
With the nearest neighbours (Å) after each atom.
Space group C2/m (No. 12)
Asymmetric unit:
Ca 0.0000 0.0000 0.0000 (multiplicity 2)  12 Hg 3.39-3.40
Sn 0.1667 0.5000 0.5009 (multiplicity 4)  2 Hg 2.97, 3 Sn 3.03
Hg 0.1663 0.5000 0.8315 (multiplicity 4)  1 Sn 2.97, 4 Hg 3.03-3.04
Hg 0.1671 0.5000 0.1700 (multiplicity 4)  1 Sn 2.97, 4 Hg 3.03-3.04

---

Entry 6:
First-principles (GGA-PBE) data for a relaxed structure of CaSn2Hg, as listed in Alexandria via LeMat-Bulk.

Summary:
For the final energy, the calculation gives -2.80 eV per atom.

a b c (Å): 4.5280 4.5280 22.6553
angles (deg): 90.00 90.00 90.00
With the nearest neighbours (Å) after each atom.
Space group I-42d (No. 122)
Asymmetric unit:
Ca 0.0000 0.0000 0.0000 (multiplicity 4)  4 Hg 3.20, 4 Sn 3.27
Sn 0.2399 0.2500 0.6250 (multiplicity 8)  4 Sn 3.14-3.27, 2 Hg 3.24, 2 Ca 3.27
Hg 0.0000 0.0000 0.5000 (multiplicity 4)  4 Ca 3.20, 4 Sn 3.24
>>>

(Here it is)
Entry 1:
First-principles (GGA-PBE) data for a relaxed structure of Ca2Sn3Hg6, as listed in Alexandria via LeMat-Bulk.

Summary:
For the final energy, the calculation gives -1.76 eV per atom.

a b c (Å): 4.5837 4.5837 30.0444
angles (deg): 90.00 90.00 90.00
With the nearest neighbours (Å) after each atom.
Space group I4/mmm (No. 139)
Asymmetric unit:
Ca 0.0000 0.0000 0.1554 (multiplicity 4)  5 Hg 3.16-3.43, 4 Sn 3.27
Sn 0.0000 0.0000 0.3602 (multiplicity 4)  5 Hg 3.00-3.10, 4 Ca 3.27
Sn 0.0000 0.0000 0.5000 (multiplicity 2)  8 Hg 3.12
Hg 0.0000 0.0000 0.2604 (multiplicity 4)  1 Sn 3.00, 1 Ca 3.16, 4 Hg 3.30
Hg 0.0000 0.5000 0.0703 (multiplicity 8)  4 Sn 3.10-3.12, 4 Hg 3.24, 2 Ca 3.43

---

Entry 2:
First-principles (GGA-PBE) data for a relaxed structure of CaSnHg, as listed in Alexandria via LeMat-Bulk.

Summary:
For the final energy, the calculation gives -2.56 eV per atom.

a b c (Å): 6.6137 4.9279 10.0334
angles (deg): 90.00 90.00 90.00
With the nearest neighbours (Å) after each atom.
Space group Pnma (No. 62)
Asymmetric unit:
Ca 0.1328 0.2500 0.1143 (multiplicity 4)  5 Hg 3.26-3.34, 5 Sn 3.32-3.42
Sn 0.1247 0.2500 0.4500 (multiplicity 4)  2 Sn 3.13, 5 Ca 3.32-3.42, 3 Hg 3.33-3.34
Hg 0.1480 0.2500 0.7820 (multiplicity 4)  5 Ca 3.26-3.34, 3 Sn 3.33-3.34, 2 Hg 3.37

---

Entry 3:
First-principles (GGA-PBE) data for a relaxed structure of CaSnHg, as listed in Alexandria via LeMat-Bulk.

Summary:
For the final energy, the calculation gives -2.53 eV per atom.

a b c (Å): 3.5565 5.8908 8.1314
angles (deg): 73.41 89.97 89.65
With the nearest neighbours (Å) after each atom.
Space group P-1 (No. 2)
Asymmetric unit:
Ca 0.0015 0.1067 0.1942 (multiplicity 2)  4 Hg 3.27-3.36, 6 Sn 3.35-3.48, 2 Ca 3.56
Sn 0.4977 0.3810 0.8443 (multiplicity 2)  2 Hg 3.02-3.12, 1 Sn 3.23, 2 Ca 3.35-3.36
Hg 0.4906 0.2476 0.4992 (multiplicity 2)  2 Hg 2.91-2.98, 2 Sn 3.02-3.12

---

Entry 4:
First-principles (GGA-PBE) data for a relaxed structure of CaSn2Hg, as listed in Alexandria via LeMat-Bulk.

Summary:
For the final energy, the calculation gives -2.95 eV per atom.

a b c (Å): 4.7285 4.7285 4.6690
angles (deg): 90.00 90.00 90.00
With the nearest neighbours (Å) after each atom.
Space group P4/mmm (No. 123)
Asymmetric unit:
Ca 0.0000 0.0000 0.0000 (multiplicity 1)  8 Sn 3.32, 4 Hg 3.34
Sn 0.0000 0.5000 0.5000 (multiplicity 2)  4 Hg 3.32, 4 Ca 3.32, 4 Sn 3.34
Hg 0.5000 0.5000 0.0000 (multiplicity 1)  8 Sn 3.32, 4 Ca 3.34

---

Entry 5:
First-principles (GGA-PBE) data for a relaxed structure of CaSn2Hg4, as listed in Alexandria via LeMat-Bulk.

Summary:
The value obtained for the energy above the lowest structure with this stoichiometry is 0.193 eV/f.u.

a b c (Å): 9.0993 5.2554 8.9754
angles (deg): 90.00 90.05 90.00
With the nearest neighbours (Å) after each atom.
Space group C2/m (No. 12)
Asymmetric unit:
Ca 0.0000 0.0000 0.0000 (multiplicity 2)  12 Hg 3.39-3.40
Sn 0.1667 0.5000 0.5009 (multiplicity 4)  2 Hg 2.97, 3 Sn 3.03
Hg 0.1663 0.5000 0.8315 (multiplicity 4)  1 Sn 2.97, 4 Hg 3.03-3.04
Hg 0.1671 0.5000 0.1700 (multiplicity 4)  1 Sn 2.97, 4 Hg 3.03-3.04

---

Entry 6:
First-principles (GGA-PBE) data for a relaxed structure of CaSn2Hg, as listed in Alexandria via LeMat-Bulk.

Summary:
For the final energy, the calculation gives -2.80 eV per atom.

a b c (Å): 4.5280 4.5280 22.6553
angles (deg): 90.00 90.00 90.00
With the nearest neighbours (Å) after each atom.
Space group I-42d (No. 122)
Asymmetric unit:
Ca 0.0000 0.0000 0.0000 (multiplicity 4)  4 Hg 3.20, 4 Sn 3.27
Sn 0.2399 0.2500 0.6250 (multiplicity 8)  4 Sn 3.14-3.27, 2 Hg 3.24, 2 Ca 3.27
Hg 0.0000 0.0000 0.5000 (multiplicity 4)  4 Ca 3.20, 4 Sn 3.24